Arrangement 1

{"formula": "C3H6O2S2", "method": "ωB97M-V/def2-TZVPD", "species": ["C", "C", "C", "O", "O", "S", "S", "H", "H", "H", "H", "H", "H"], "coordinates": [[0.98, -0.02, -0.43], [0.17, 1.27, -0.27], [0.33, -1.29, 0.02], [-1.60, 0.48, 1.46], [-0.11, -1.52, 1.21], [-1.89, -0.63, -1.20], [-1.65, 0.97, 0.05], [1.25, -0.16, -1.48], [1.90, 0.08, 0.15], [0.48, 1.86, 0.60], [0.23, 1.89, -1.16], [0.56, -2.19, -0.54], [-0.65, -0.71, 1.58]], "homo_ev": -8.6821, "homo_lumo_gap_ha": 0.3101}

=====

Arrangement 2

{"formula": "C3H6O2S2", "method": "ωB97M-V/def2-TZVPD", "species": ["C", "O", "C", "S", "C", "O", "S", "H", "H", "H", "H", "H", "H"], "coordinates": [[-0.02, -2.05, -0.41], [0.58, -0.93, 0.33], [1.43, -0.13, -0.32], [0.52, 1.36, -1.10], [-0.11, 2.18, 0.38], [2.52, -0.59, -1.04], [3.09, 0.09, 0.43], [0.19, -2.98, 0.02], [0.24, -2.08, -1.44], [-1.14, -1.80, -0.35], [-0.98, 2.74, 0.15], [0.73, 2.65, 0.96], [-0.64, 1.58, 1.14]], "homo_ev": -8.7597, "homo_lumo_gap_ha": 0.3279, "smiles": "CO[C@]1(SC)OS1"}

=====

Arrangement 3

{"formula": "C3H6O2S2", "method": "ωB97M-V/def2-TZVPD", "species": ["C", "C", "C", "O", "O", "S", "S", "H", "H", "H", "H", "H", "H"], "coordinates": [[0.40, -0.40, -0.16], [-0.02, -2.00, 1.40], [-0.75, 1.29, -1.17], [1.60, -0.28, -0.04], [-0.57, -1.11, 0.43], [0.18, 1.58, -2.70], [-1.01, 2.46, 0.08], [-0.59, -3.07, 1.46], [-0.07, -1.45, 2.40], [0.99, -2.17, 1.14], [-1.68, 0.82, -1.54], [1.33, 1.86, -1.92], [0.19, 2.47, 0.63]], "homo_ev": [-8.1766, -8.1759], "homo_lumo_gap_ha": [0.3051, 0.3051]}

=====

Most stable pick: arrangement 1. Distance to second place: 35.1 kcal/mol.

=====

Arrangement 1

{"formula": "C3H8N2", "method": "ωB97M-V/def2-TZVPD", "species": ["C", "C", "N", "C", "N", "H", "H", "H", "H", "H", "H", "H", "H"], "coordinates": [[0.72, -0.37, -1.67], [0.09, 0.81, -0.96], [0.28, 0.96, 0.46], [-0.10, 0.10, 1.30], [-0.80, -1.07, 1.15], [0.15, -1.28, -1.89], [1.55, -0.81, -1.09], [1.14, -0.14, -2.66], [-0.98, 0.92, -1.23], [0.56, 1.70, -1.38], [0.12, 0.30, 2.35], [-1.20, -1.33, 0.26], [-1.53, -1.30, 1.82]], "homo_ev": -9.0212, "homo_lumo_gap_ha": 0.3688, "smiles": "CC/N=C\\N"}

=====

Arrangement 2

{"formula": "C3H8N2", "method": "ωB97M-V/def2-TZVPD", "species": ["C", "C", "N", "N", "C", "H", "H", "H", "H", "H", "H", "H", "H"], "coordinates": [[2.28, -0.05, 0.02], [0.82, -0.01, -0.02], [0.01, -0.98, -0.08], [-1.38, -0.83, 0.18], [-1.97, 0.45, -0.04], [2.75, -0.88, -0.62], [2.73, 0.92, -0.17], [2.59, -0.30, 1.00], [0.42, 1.03, 0.08], [-1.86, -1.64, -0.20], [-3.11, 0.25, 0.08], [-1.65, 0.88, -0.98], [-1.64, 1.16, 0.75]], "homo_ev": -8.5421, "homo_lumo_gap_ha": 0.3556, "smiles": "C/C=N/NC"}

=====

Arrangement 3

{"formula": "C3H8N2", "method": "ωB97M-V/def2-TZVPD", "species": ["C", "C", "N", "C", "N", "H", "H", "H", "H", "H", "H", "H", "H"], "coordinates": [[-0.01, -2.05, 0.35], [-0.21, -0.61, -0.12], [0.70, 0.26, 0.58], [0.67, 1.49, 0.30], [-0.14, 2.09, -0.65], [1.00, -2.37, 0.09], [-0.74, -2.74, -0.08], [-0.08, -2.09, 1.43], [-1.24, -0.31, 0.04], [-0.01, -0.57, -1.20], [1.33, 2.20, 0.77], [-0.98, 1.61, -0.94], [-0.30, 3.09, -0.56]], "homo_ev": -9.2416, "homo_lumo_gap_ha": 0.3761, "smiles": "CC/N=C\\N"}

=====

Most stable pick: arrangement 3. Distance to second place: 10.0 kcal/mol.

=====

Arrangement 1

{"formula": "C5H8O3", "method": "ωB97M-V/def2-TZVPD", "species": ["C", "O", "C", "C", "O", "C", "C", "O", "H", "H", "H", "H", "H", "H", "H", "H"], "coordinates": [[2.38, -0.07, -0.26], [1.51, -0.75, 0.50], [0.16, -0.57, -0.02], [-0.68, -1.47, -0.39], [-1.99, -1.10, -0.46], [-2.07, 0.15, 0.40], [-0.56, 0.68, 0.42], [-0.39, 1.68, -0.62], [2.32, 0.87, 0.22], [1.96, -0.03, -1.37], [3.34, -0.79, -0.32], [-0.40, -2.60, -0.57], [-2.79, 0.88, 0.04], [-2.50, -0.32, 1.32], [0.16, 0.88, 1.36], [-0.44, 2.58, -0.27]], "homo_ev": -8.8905, "homo_lumo_gap_ha": 0.3537, "smiles": "COC1=COC[C@@H]1O"}

=====

Arrangement 2
Next, copy the lines earlier on up to the one that holds "[-0.57, -1.11,", that line included.
Arrangement 1

{"formula": "C3H6O2S2", "method": "ωB97M-V/def2-TZVPD", "species": ["C", "C", "C", "O", "O", "S", "S", "H", "H", "H", "H", "H", "H"], "coordinates": [[0.98, -0.02, -0.43], [0.17, 1.27, -0.27], [0.33, -1.29, 0.02], [-1.60, 0.48, 1.46], [-0.11, -1.52, 1.21], [-1.89, -0.63, -1.20], [-1.65, 0.97, 0.05], [1.25, -0.16, -1.48], [1.90, 0.08, 0.15], [0.48, 1.86, 0.60], [0.23, 1.89, -1.16], [0.56, -2.19, -0.54], [-0.65, -0.71, 1.58]], "homo_ev": -8.6821, "homo_lumo_gap_ha": 0.3101}

=====

Arrangement 2

{"formula": "C3H6O2S2", "method": "ωB97M-V/def2-TZVPD", "species": ["C", "O", "C", "S", "C", "O", "S", "H", "H", "H", "H", "H", "H"], "coordinates": [[-0.02, -2.05, -0.41], [0.58, -0.93, 0.33], [1.43, -0.13, -0.32], [0.52, 1.36, -1.10], [-0.11, 2.18, 0.38], [2.52, -0.59, -1.04], [3.09, 0.09, 0.43], [0.19, -2.98, 0.02], [0.24, -2.08, -1.44], [-1.14, -1.80, -0.35], [-0.98, 2.74, 0.15], [0.73, 2.65, 0.96], [-0.64, 1.58, 1.14]], "homo_ev": -8.7597, "homo_lumo_gap_ha": 0.3279, "smiles": "CO[C@]1(SC)OS1"}

=====

Arrangement 3

{"formula": "C3H6O2S2", "method": "ωB97M-V/def2-TZVPD", "species": ["C", "C", "C", "O", "O", "S", "S", "H", "H", "H", "H", "H", "H"], "coordinates": [[0.40, -0.40, -0.16], [-0.02, -2.00, 1.40], [-0.75, 1.29, -1.17], [1.60, -0.28, -0.04], [-0.57, -1.11, 0.43], [0.18, 1.58, -2.70], [-1.01, 2.46, 0.08], [-0.59, -3.07, 1.46], [-0.07, -1.45, 2.40], [0.99, -2.17, 1.14], [-1.68, 0.82, -1.54], [1.33, 1.86, -1.92], [0.19, 2.47, 0.63]], "homo_ev": [-8.1766, -8.1759], "homo_lumo_gap_ha": [0.3051, 0.3051]}